Listing =
____________
Record 1
The following is a calculated PXRD pattern of YAlO3. It was derived from a cell relaxed with GGA-PBE, using Cu Kα, 1.54184 Å.

Cell and atoms:
a b c (Å): 6.738 6.738 10.118
angles (deg): 90.00 90.00 59.83
Fractional coordinates of all 30 atoms:
Y 0.000 0.000 0.000
Y 0.000 0.000 0.500
Y 0.330 0.330 0.000
Y 0.330 0.330 0.500
Y 0.670 0.670 0.000
Y 0.670 0.670 0.500
Al 0.066 0.666 0.250
Al 0.334 0.934 0.250
Al 0.393 0.607 0.750
Al 0.607 0.393 0.250
Al 0.666 0.066 0.750
Al 0.934 0.334 0.750
O 0.022 0.334 0.588
O 0.022 0.334 0.912
O 0.074 0.926 0.250
O 0.312 0.688 0.584
O 0.312 0.688 0.916
O 0.334 0.022 0.088
O 0.334 0.022 0.412
O 0.336 0.407 0.250
O 0.407 0.336 0.750
O 0.593 0.664 0.250
O 0.664 0.593 0.750
O 0.666 0.978 0.588
O 0.666 0.978 0.912
O 0.688 0.312 0.084
O 0.688 0.312 0.416
O 0.926 0.074 0.750
O 0.978 0.666 0.088
O 0.978 0.666 0.412

Principal peaks in the range 2θ = 10–80°, most intense first:
2θ 31.93, I 100.0
2θ 26.48, I 69.7
2θ 44.82, I 56.9
2θ 17.53, I 46.4
2θ 46.78, I 33.7
2θ 35.49, I 27.4



Record 2
The following is a calculated PXRD pattern of NbSnS2. It was derived from a cell relaxed with GGA-PBE, using Cu Kα, 1.54184 Å.

Cell and atoms:
a b c (Å): 3.357 3.357 17.583
angles (deg): 90.00 90.00 120.00
Fractional coordinates of all 8 atoms:
Nb 0.333 0.667 0.250
Nb 0.667 0.333 0.750
Sn 0.000 0.000 0.000
Sn 0.000 0.000 0.500
S 0.000 0.000 0.161
S 0.000 0.000 0.339
S 0.000 0.000 0.661
S 0.000 0.000 0.839

Principal peaks in the range 2θ = 10–80°, most intense first:
2θ 43.86, I 100.0
2θ 32.43, I 84.2
2θ 20.20, I 70.0
2θ 30.75, I 48.9
2θ 54.68, I 37.8
2θ 31.18, I 32.9



Record 3
The following is a calculated PXRD pattern of Nd3CrS6. It was derived from a cell relaxed with GGA-PBE, using Cu Kα, 1.54184 Å.

Cell and atoms:
a b c (Å): 13.634 16.309 3.904
angles (deg): 90.00 90.00 90.00
Fractional coordinates of all 40 atoms:
Nd 0.050 0.218 0.000
Nd 0.181 0.648 0.000
Nd 0.244 0.904 0.500
Nd 0.256 0.404 0.000
Nd 0.319 0.148 0.500
Nd 0.450 0.718 0.500
Nd 0.550 0.282 0.500
Nd 0.681 0.852 0.500
Nd 0.744 0.596 0.000
Nd 0.756 0.096 0.500
Nd 0.819 0.352 0.000
Nd 0.950 0.782 0.000
Cr 0.000 0.000 0.500
Cr 0.000 0.500 0.500
Cr 0.500 0.000 0.000
Cr 0.500 0.500 0.000
S 0.024 0.405 0.000
S 0.080 0.929 0.000
S 0.103 0.755 0.500
S 0.121 0.103 0.500
S 0.176 0.520 0.500
S 0.186 0.289 0.500
S 0.314 0.789 0.000
S 0.324 0.020 0.000
S 0.379 0.603 0.000
S 0.397 0.255 0.000
S 0.420 0.429 0.500
S 0.476 0.905 0.500
S 0.524 0.095 0.500
S 0.580 0.571 0.500
S 0.603 0.745 0.000
S 0.621 0.397 0.000
S 0.676 0.980 0.000
S 0.686 0.211 0.000
S 0.814 0.711 0.500
S 0.824 0.480 0.500
S 0.879 0.897 0.500
S 0.897 0.245 0.500
S 0.920 0.071 0.000
S 0.976 0.595 0.000

Principal peaks in the range 2θ = 10–80°, most intense first:
2θ 34.47, I 100.0
2θ 25.48, I 76.9
2θ 35.88, I 45.5
2θ 40.74, I 45.2
2θ 26.14, I 44.0
2θ 46.53, I 36.4



Record 4
The following is a calculated PXRD pattern of MgSi2. It was derived from a cell relaxed with GGA-PBE, using Cu Kα, 1.54184 Å.

Cell and atoms:
a b c (Å): 6.292 3.783 10.365
angles (deg): 90.00 106.17 90.00
Fractional coordinates of all 12 atoms:
Mg 0.157 0.000 0.247
Mg 0.316 0.005 0.761
Mg 0.684 0.505 0.239
Mg 0.843 0.500 0.753
Si 0.055 0.002 0.948
Si 0.089 0.513 0.565
Si 0.438 0.979 0.050
Si 0.463 0.639 0.560
Si 0.537 0.139 0.440
Si 0.562 0.479 0.950
Si 0.911 0.013 0.435
Si 0.945 0.502 0.052

Principal peaks in the range 2θ = 10–80°, most intense first:
2θ 49.84, I 100.0
2θ 42.57, I 93.5
____________
Request =
Next, set down the lines further above from the line with "0.976 0.595" to the end unchanged.
Response =
S 0.976 0.595 0.000

Principal peaks in the range 2θ = 10–80°, most intense first:
2θ 34.47, I 100.0
2θ 25.48, I 76.9
2θ 35.88, I 45.5
2θ 40.74, I 45.2
2θ 26.14, I 44.0
2θ 46.53, I 36.4



Record 4
The following is a calculated PXRD pattern of MgSi2. It was derived from a cell relaxed with GGA-PBE, using Cu Kα, 1.54184 Å.

Cell and atoms:
a b c (Å): 6.292 3.783 10.365
angles (deg): 90.00 106.17 90.00
Fractional coordinates of all 12 atoms:
Mg 0.157 0.000 0.247
Mg 0.316 0.005 0.761
Mg 0.684 0.505 0.239
Mg 0.843 0.500 0.753
Si 0.055 0.002 0.948
Si 0.089 0.513 0.565
Si 0.438 0.979 0.050
Si 0.463 0.639 0.560
Si 0.537 0.139 0.440
Si 0.562 0.479 0.950
Si 0.911 0.013 0.435
Si 0.945 0.502 0.052

Principal peaks in the range 2θ = 10–80°, most intense first:
2θ 49.84, I 100.0
2θ 42.57, I 93.5